Q. I'm looking to get super shredded this summer, but I'm worried I'll lose all my muscle mass in the cutting process. What do you suggest?
I get this question a lot. You just spent a lot of time and effort putting on muscle—who wants to waste all that work for a little more definition? Getting lean and retaining size is a difficult task to say the least. But, it's definitely not impossible.
When you transition into a cutting regimen, remember a few crucial factors:
1. Progress Slowly
On day one of your new cutting program, it's easy to do too much too soon. The last thing you want to do is drop your calories to minimal rations. Incorporating this dramatic change at one time will help you drop weight quickly, but will almost certainly sacrifice some of that hard-earned lean muscle mass.
Begin by dropping calories by as little as 200 per day for the first week, and build from there. When attempting to reduce body fat, shoot for a goal of around 1-1.5 pounds of actual weight loss per week. This may vary per individual, but the objective isn't to lose all the weight in a week or two. Slowly reduce your body fat over time for long-term success.
2. Don't Overdo Cardio
Cardio is a tool to help reduce body fat, but not the only tool. Spending hours on the treadmill each day is never the right plan.
If you find that you need hours of cardio each day to reduce the necessary body fat, then most likely your metabolism is damaged due to improper dieting (starvation dieting) and excessive cardio.
_Records of crystals, kept here for reference_
- - -
# 1
First-principles (PBE+U) data for a geometry-optimized Li3MnFeCoP3O12 structure, as listed in the Materials Project.

a b c (Å): 10.431 6.089 14.291
angles (deg): 90.00 89.93 90.00
Fractional coordinates of all 84 atoms:
O (0.405, 0.750, 0.414)
O (0.901, 0.750, 0.421)
O (0.546, 0.750, 0.601)
O (0.542, 0.750, 0.929)
O (0.952, 0.250, 0.434)
O (0.667, 0.047, 0.740)
O (0.833, 0.545, 0.239)
O (0.838, 0.954, 0.903)
O (0.665, 0.451, 0.074)
O (0.162, 0.452, 0.093)
O (0.669, 0.048, 0.406)
O (0.096, 0.250, 0.245)
O (0.339, 0.953, 0.261)
O (0.041, 0.750, 0.238)
O (0.046, 0.750, 0.899)
O (0.831, 0.546, 0.573)
O (0.833, 0.955, 0.239)
O (0.339, 0.547, 0.261)
O (0.337, 0.953, 0.596)
O (0.599, 0.250, 0.253)
O (0.548, 0.750, 0.265)
O (0.160, 0.452, 0.428)
O (0.601, 0.250, 0.587)
O (0.333, 0.547, 0.928)
O (0.460, 0.250, 0.403)
O (0.669, 0.452, 0.406)
O (0.400, 0.750, 0.749)
O (0.956, 0.250, 0.765)
O (0.162, 0.048, 0.093)
O (0.166, 0.047, 0.761)
O (0.160, 0.048, 0.428)
O (0.040, 0.750, 0.570)
O (0.953, 0.250, 0.098)
O (0.333, 0.953, 0.928)
O (0.097, 0.250, 0.581)
O (0.838, 0.546, 0.903)
O (0.166, 0.453, 0.761)
O (0.904, 0.750, 0.087)
O (0.098, 0.250, 0.914)
O (0.456, 0.250, 0.068)
O (0.600, 0.250, 0.920)
O (0.337, 0.547, 0.596)
O (0.665, 0.049, 0.074)
O (0.458, 0.250, 0.735)
O (0.831, 0.954, 0.573)
O (0.667, 0.453, 0.740)
O (0.902, 0.750, 0.751)
O (0.404, 0.750, 0.079)
P (0.907, 0.750, 0.859)
P (0.409, 0.750, 0.306)
P (0.095, 0.250, 0.806)
P (0.091, 0.250, 0.473)
P (0.407, 0.750, 0.642)
P (0.594, 0.250, 0.028)
P (0.902, 0.750, 0.528)
P (0.904, 0.750, 0.195)
P (0.404, 0.750, 0.972)
P (0.597, 0.250, 0.361)
P (0.597, 0.250, 0.694)
P (0.092, 0.250, 0.138)
Fe (0.720, 0.750, 0.342)
Fe (0.281, 0.250, 0.660)
Fe (0.218, 0.750, 0.824)
Fe (0.280, 0.250, 0.991)
Mn (0.218, 0.750, 0.494)
Mn (0.719, 0.750, 0.006)
Mn (0.281, 0.250, 0.326)
Mn (0.219, 0.750, 0.159)
Li (0.000, 0.002, 0.999)
Li (0.503, 0.500, 0.501)
Li (0.502, 0.000, 0.167)
Li (0.997, 0.000, 0.334)
Li (0.502, 0.500, 0.167)
Li (0.998, 0.498, 0.667)
Li (0.501, 0.001, 0.833)
Li (0.501, 0.499, 0.833)
Li (0.000, 0.498, 0.999)
Li (0.503, 0.000, 0.501)
Li (0.998, 0.002, 0.667)
Li (0.997, 0.500, 0.334)
Co (0.781, 0.250, 0.172)
Co (0.723, 0.750, 0.671)
Co (0.779, 0.250, 0.839)
Co (0.780, 0.250, 0.506)

Results
ΔE_f (eV/f.u.): -52.375
Space-group type: No. 6
Theoretical density (g cm⁻³): 3.479
Raw total energy (eV/f.u.): -144.65
Distance to the lowest polymorph of the same formula (meV per atom): 0
Total magnetic moment (Bohr magnetons per cell): 48.0

# 2
First-principles (PBE+U) data for a geometry-optimized Li3MnFeCoP3O12 structure, as listed in the Materials Project.

a b c (Å): 6.082 10.435 14.308
angles (deg): 89.97 90.00 90.00
Fractional coordinates of all 84 atoms:
Li (0.250, 0.003, 0.666)
Li (0.750, 0.003, 0.666)
Li (0.750, 0.002, 0.000)
Li (0.250, 0.002, 0.000)
Li (0.751, 0.497, 0.501)
Li (0.750, 0.497, 0.833)
Li (0.249, 0.497, 0.501)
Li (0.250, 0.497, 0.833)
Li (0.750, 0.002, 0.333)
Li (0.250, 0.498, 0.167)
- - -
Bottom line: If you allow ample time to cut down, diet properly, and hit the weights at 110 percent, you should not need hours of low-intensity steady-state (LISS) cardio to lean out.
3. Do High-Intensity Interval Training (HIIT)
HIIT is an awesome tool for getting lean and building muscle tissue. Adding one or two HIIT sessions per week can maximize fat loss and boost your body's natural fat-burning metabolism, especially when your diet is on point.
Increasing the tempo and intensity of your weight training sessions can have a similar effect. The easiest way to do this is to take less rest. Try resting for only 30 seconds after each set. You'll definitely feel the difference.
4. Eat!
I've seen male competitors eat fewer than 1,800 calories trying to reduce their body fat. This is not the way to get shredded. If you cut your calories this much, you will end up losing significant lean muscle mass and severely damaging your metabolism. If your metabolism is damaged, any variation from your get-lean diet will result in rapid fat gains.
Obviously, everyone is different and requires a different caloric intake and macronutrient breakdown. The first time you try a cutting diet, you might have to do a little research and a little experimentation. That's OK; starving yourself is never the answer to losing body fat.
There's nothing wrong with listening to your body and allowing it to function as well as it can. You can't get shredded in a day, so take the time to do things right and your body will thank you!